'''
VASP calculation (PBE) on CdAg2Ru after structural relaxation.

extended XYZ file:
```
4
Lattice="-0.755 -2.120 -1.697 2.209 -0.435 1.696 -6.095 -3.470 7.049" Properties=species:S:1:pos:R:3 pbc="T T T"
Ag -6.037 -3.437 6.981
Ag -3.106 -1.768 3.592
Ru -3.845 -3.880 5.286
Cd -0.797 -2.145 1.762
```

## Properties
**Space-group type**: Cmmm (65)
**DOS at the Fermi energy**: 2.9 states/eV/cell
**Calculated formation energy**: 0.360 eV per atom

----------

Na2CdCuF6 after structural relaxation. Source: Alexandria, functional PBE.

Computed properties:
Crystal system: monoclinic
Energy in eV/atom: -4.103

Lattice parameters (Å, degrees): 5.5580 5.7042 8.6050 90.00 94.00 90.00
Each line ends with the local moment (μB).
Sites, in units of the cell vectors:
F (0.2763, 0.6850, 0.0792)  0.06
F (0.7237, 0.3150, 0.9208)  0.06
F (0.6717, 0.2827, 0.5639)  0.06
F (0.3283, 0.7173, 0.4361)  0.06
F (0.2237, 0.1850, 0.4208)  0.06
F (0.7763, 0.8150, 0.5792)  0.06
F (0.8641, 0.5682, 0.2603)  0.01
F (0.8283, 0.7827, 0.9361)  0.06
F (0.1717, 0.2173, 0.0639)  0.06
F (0.1359, 0.4318, 0.7397)  0.01
F (0.3641, 0.9318, 0.7603)  0.01
F (0.6359, 0.0682, 0.2397)  0.01
Na (0.5237, 0.5591, 0.7377)  0.00
Na (0.0237, 0.9409, 0.2377)  0.00
Na (0.9763, 0.0591, 0.7623)  0.00
Na (0.4763, 0.4409, 0.2623)  0.00
Cd (0.0000, 0.5000, 0.5000)  0.01
Cd (0.5000, 0.0000, 0.0000)  0.01
Cu (0.0000, 0.5000, 0.0000)  0.72
Cu (0.5000, 0.0000, 0.5000)  0.72

----------

# 1
{"formula": "LaInS2Cl", "functional": "PBE", "state": "relaxed", "cell": [[5.527, 0.000, 0.000], [0.000, 5.527, 0.000], [0.000, 0.000, 5.623]], "species": ["Cl", "S", "S", "In", "La"], "fractional_positions": [[0.000, 0.000, 0.500], [0.000, 0.500, 0.000], [0.500, 0.000, 0.000], [0.500, 0.500, 0.500], [0.000, 0.000, 0.000]], "space_group": "P4/mmm, No. 123", "magmom_total_mub_per_cell": 0.34, "e_above_lowest_polymorph_ev_per_atom": 0.000}



# 2
{"formula": "CrNiRuI2", "functional": "PBE", "state": "relaxed", "cell": [[5.144, 0.000, 0.000], [0.000, 4.712, 0.000], [0.000, 0.000, 5.144]], "species": ["I", "I", "Ru", "Cr", "Ni"], "fractional_positions": [[0.000, 0.000, 0.500], [0.500, 0.000, 0.000], [0.000, 0.500, 0.000], [0.500, 0.500, 0.500], [0.000, 0.000, 0.000]], "total_energy_ev_per_cell": -22.33, "space_group": "P4/mmm, No. 123", "magmom_total_mub_per_cell": 2.14}



# 3
{"formula": "Cs2TlVS4", "functional": "PBE", "state": "relaxed", "cell": [[7.177, 0.000, 0.000], [3.589, 6.734, 0.000], [3.589, 0.000, 12.512]], "species": ["Cs", "Cs", "Cs", "Cs", "Tl", "Tl", "V", "V", "S", "S", "S", "S", "S", "S", "S", "S"], "fractional_positions": [[0.182, 0.000, 0.637], [0.818, 0.000, 0.363], [0.568, 0.500, 0.863], [0.932, 0.500, 0.137], [0.750, 0.500, 0.500], [0.000, 0.000, 0.000], [0.250, 0.500, 0.500], [0.500, 0.000, 0.000], [0.364, 0.816, 0.099], [0.278, 0.184, 0.901], [0.820, 0.816, 0.901], [0.538, 0.184, 0.099], [0.386, 0.684, 0.401], [0.472, 0.316, 0.599], [0.930, 0.684, 0.599], [0.212, 0.316, 0.401]], "total_energy_ev_per_cell": -74.42, "space_group": "Fddd, No. 70", "magmom_total_mub_per_cell": 0.00}

----------

The following is a PBE calculation of an optimized crystal structure of AlRu3, from Alexandria.

Computed properties:
DFT formation energy   0.151 eV per atom

a = 5.1820 Å, b = 5.1820 Å, c = 4.4760 Å
α = 90.00°, β = 90.00°, γ = 88.50°
Fractional positions:
Al (0.0845, 0.9155, 0.7500)
Al (0.9155, 0.0845, 0.2500)
Ru (0.0690, 0.5937, 0.2500)
Ru (0.4063, 0.9310, 0.2500)
Ru (0.4263, 0.5737, 0.7500)
Ru (0.5737, 0.4263, 0.2500)
Ru (0.5937, 0.0690, 0.7500)
Ru (0.9310, 0.4063, 0.7500)


The following is a PBE calculation of an optimized crystal structure of YSc2W, from Alexandria.

Computed properties:
DFT formation energy   0.323 eV per atom
Energy above the lowest structure with this stoichiometry   57 meV per atom

a = 3.0876 Å, b = 4.7211 Å, c = 6.3382 Å
α = 90.00°, β = 103.75°, γ = 90.00°
Fractional positions:
Y (0.0000, 0.0000, 0.0000)
Sc (0.3967, 0.5000, 0.7155)
Sc (0.6033, 0.5000, 0.2845)
'''

Retype everything above exactly.

VASP calculation (PBE) on CdAg2Ru after structural relaxation.

extended XYZ file:
```
4
Lattice="-0.755 -2.120 -1.697 2.209 -0.435 1.696 -6.095 -3.470 7.049" Properties=species:S:1:pos:R:3 pbc="T T T"
Ag -6.037 -3.437 6.981
Ag -3.106 -1.768 3.592
Ru -3.845 -3.880 5.286
Cd -0.797 -2.145 1.762
```

## Properties
**Space-group type**: Cmmm (65)
**DOS at the Fermi energy**: 2.9 states/eV/cell
**Calculated formation energy**: 0.360 eV per atom

----------

Na2CdCuF6 after structural relaxation. Source: Alexandria, functional PBE.

Computed properties:
Crystal system: monoclinic
Energy in eV/atom: -4.103

Lattice parameters (Å, degrees): 5.5580 5.7042 8.6050 90.00 94.00 90.00
Each line ends with the local moment (μB).
Sites, in units of the cell vectors:
F (0.2763, 0.6850, 0.0792)  0.06
F (0.7237, 0.3150, 0.9208)  0.06
F (0.6717, 0.2827, 0.5639)  0.06
F (0.3283, 0.7173, 0.4361)  0.06
F (0.2237, 0.1850, 0.4208)  0.06
F (0.7763, 0.8150, 0.5792)  0.06
F (0.8641, 0.5682, 0.2603)  0.01
F (0.8283, 0.7827, 0.9361)  0.06
F (0.1717, 0.2173, 0.0639)  0.06
F (0.1359, 0.4318, 0.7397)  0.01
F (0.3641, 0.9318, 0.7603)  0.01
F (0.6359, 0.0682, 0.2397)  0.01
Na (0.5237, 0.5591, 0.7377)  0.00
Na (0.0237, 0.9409, 0.2377)  0.00
Na (0.9763, 0.0591, 0.7623)  0.00
Na (0.4763, 0.4409, 0.2623)  0.00
Cd (0.0000, 0.5000, 0.5000)  0.01
Cd (0.5000, 0.0000, 0.0000)  0.01
Cu (0.0000, 0.5000, 0.0000)  0.72
Cu (0.5000, 0.0000, 0.5000)  0.72

----------

# 1
{"formula": "LaInS2Cl", "functional": "PBE", "state": "relaxed", "cell": [[5.527, 0.000, 0.000], [0.000, 5.527, 0.000], [0.000, 0.000, 5.623]], "species": ["Cl", "S", "S", "In", "La"], "fractional_positions": [[0.000, 0.000, 0.500], [0.000, 0.500, 0.000], [0.500, 0.000, 0.000], [0.500, 0.500, 0.500], [0.000, 0.000, 0.000]], "space_group": "P4/mmm, No. 123", "magmom_total_mub_per_cell": 0.34, "e_above_lowest_polymorph_ev_per_atom": 0.000}



# 2
{"formula": "CrNiRuI2", "functional": "PBE", "state": "relaxed", "cell": [[5.144, 0.000, 0.000], [0.000, 4.712, 0.000], [0.000, 0.000, 5.144]], "species": ["I", "I", "Ru", "Cr", "Ni"], "fractional_positions": [[0.000, 0.000, 0.500], [0.500, 0.000, 0.000], [0.000, 0.500, 0.000], [0.500, 0.500, 0.500], [0.000, 0.000, 0.000]], "total_energy_ev_per_cell": -22.33, "space_group": "P4/mmm, No. 123", "magmom_total_mub_per_cell": 2.14}



# 3
{"formula": "Cs2TlVS4", "functional": "PBE", "state": "relaxed", "cell": [[7.177, 0.000, 0.000], [3.589, 6.734, 0.000], [3.589, 0.000, 12.512]], "species": ["Cs", "Cs", "Cs", "Cs", "Tl", "Tl", "V", "V", "S", "S", "S", "S", "S", "S", "S", "S"], "fractional_positions": [[0.182, 0.000, 0.637], [0.818, 0.000, 0.363], [0.568, 0.500, 0.863], [0.932, 0.500, 0.137], [0.750, 0.500, 0.500], [0.000, 0.000, 0.000], [0.250, 0.500, 0.500], [0.500, 0.000, 0.000], [0.364, 0.816, 0.099], [0.278, 0.184, 0.901], [0.820, 0.816, 0.901], [0.538, 0.184, 0.099], [0.386, 0.684, 0.401], [0.472, 0.316, 0.599], [0.930, 0.684, 0.599], [0.212, 0.316, 0.401]], "total_energy_ev_per_cell": -74.42, "space_group": "Fddd, No. 70", "magmom_total_mub_per_cell": 0.00}

----------

The following is a PBE calculation of an optimized crystal structure of AlRu3, from Alexandria.

Computed properties:
DFT formation energy   0.151 eV per atom

a = 5.1820 Å, b = 5.1820 Å, c = 4.4760 Å
α = 90.00°, β = 90.00°, γ = 88.50°
Fractional positions:
Al (0.0845, 0.9155, 0.7500)
Al (0.9155, 0.0845, 0.2500)
Ru (0.0690, 0.5937, 0.2500)
Ru (0.4063, 0.9310, 0.2500)
Ru (0.4263, 0.5737, 0.7500)
Ru (0.5737, 0.4263, 0.2500)
Ru (0.5937, 0.0690, 0.7500)
Ru (0.9310, 0.4063, 0.7500)


The following is a PBE calculation of an optimized crystal structure of YSc2W, from Alexandria.

Computed properties:
DFT formation energy   0.323 eV per atom
Energy above the lowest structure with this stoichiometry   57 meV per atom

a = 3.0876 Å, b = 4.7211 Å, c = 6.3382 Å
α = 90.00°, β = 103.75°, γ = 90.00°
Fractional positions:
Y (0.0000, 0.0000, 0.0000)
Sc (0.3967, 0.5000, 0.7155)
Sc (0.6033, 0.5000, 0.2845)